********
1.
## B2SbTe (PBE-GGA)

Data for a relaxed structure of B2SbTe.

Results
For the energy above the most stable polymorph in this dataset, the calculation gives 0.0000 eV per atom. The formation energy without anion corrections comes out at 0.75 eV per atom. The value obtained for the total magnetization is 0.00 μB per formula unit. The total energy is -35.24 eV per cell. The volume comes out at 19.044 Å³ per atom. Its density is 5.9 Mg/m³.

abc: 5.3175 5.3175 6.5704
angles: 66.13 66.13 90.00
With the nearest neighbours (Å) after each atom.
Fractional coordinates of all 8 atoms:
Sb (0.5000, 0.5000, 0.0000)  4 B 2.28
Sb (0.2500, 0.7500, 0.5000)  4 B 2.28
B (0.6155, 0.1250, 0.2500)  2 Sb 2.28, 2 Te 2.34
B (0.1345, 0.6250, 0.2500)  2 Sb 2.28, 2 Te 2.34
B (0.3750, 0.3845, 0.7500)  2 Sb 2.28, 2 Te 2.34
B (0.8750, 0.8655, 0.7500)  2 Sb 2.28, 2 Te 2.34
Te (0.0000, 0.0000, 0.0000)  4 B 2.34
Te (0.7500, 0.2500, 0.5000)  4 B 2.34

***

2.
## ZnPH5C2N4O3 (PBE-GGA)

Data for a relaxed structure of ZnPH5C2N4O3.

Results
For the energy above the most stable polymorph in this dataset, the calculation gives 0.0055 eV per atom. The value obtained for the total magnetization is 0.00 μB per formula unit. The total energy is -404.73 eV per cell. The volume comes out at 12.347 Å³ per atom. Its density is 1.9 Mg/m³.

abc: 9.3054 9.3054 10.5112
angles: 71.66 71.66 70.12
With the nearest neighbours (Å) after each atom.
Fractional coordinates of all 64 atoms:
Zn (0.4360, 0.7171, 0.0481)  3 O 1.95-2.01, 1 N 1.96
Zn (0.2829, 0.5640, 0.4519)  3 O 1.95-2.01, 1 N 1.96
Zn (0.7171, 0.4360, 0.5481)  3 O 1.95-2.01, 1 N 1.96
Zn (0.5640, 0.2829, 0.9519)  3 O 1.95-2.01, 1 N 1.96
P (0.6025, 0.6611, 0.2836)  1 H 1.41, 3 O 1.54-1.55
P (0.6611, 0.6025, 0.7836)  1 H 1.41, 3 O 1.54-1.55
P (0.3389, 0.3975, 0.2164)  1 H 1.41, 3 O 1.54-1.55
P (0.3975, 0.3389, 0.7164)  1 H 1.41, 3 O 1.54-1.55
H (0.9260, 0.8412, 0.1046)  1 N 1.01
H (0.6538, 0.7950, 0.2629)  1 P 1.41
H (0.8412, 0.9260, 0.6046)  1 N 1.01
H (0.3105, 0.8974, 0.3974)  1 N 1.03
H (0.8685, 0.3756, 0.2180)  1 N 1.02
H (0.7950, 0.6538, 0.7629)  1 P 1.41
H (0.7917, 0.4401, 0.0748)  1 N 1.02
H (0.8974, 0.3105, 0.8974)  1 N 1.03
H (0.3756, 0.8685, 0.7180)  1 N 1.02
H (0.5599, 0.2083, 0.4252)  1 N 1.02
H (0.4401, 0.7917, 0.5748)  1 N 1.02
H (0.6244, 0.1315, 0.2820)  1 N 1.02
H (0.1026, 0.6895, 0.1026)  1 N 1.03
H (0.2083, 0.5599, 0.9252)  1 N 1.02
H (0.2050, 0.3462, 0.2371)  1 P 1.41
H (0.1315, 0.6244, 0.7820)  1 N 1.02
H (0.6895, 0.1026, 0.6026)  1 N 1.03
H (0.1588, 0.0740, 0.3954)  1 N 1.01
H (0.3462, 0.2050, 0.7371)  1 P 1.41
H (0.0740, 0.1588, 0.8954)  1 N 1.01
C (0.9632, 0.7998, 0.4027)  2 N 1.18-1.28
C (0.7998, 0.9632, 0.9027)  2 N 1.18-1.28
C (0.9888, 0.2515, 0.0668)  3 N 1.33-1.36
C (0.7485, 0.0112, 0.4332)  3 N 1.33-1.36
C (0.2515, 0.9888, 0.5668)  3 N 1.33-1.36
C (0.0112, 0.7485, 0.9332)  3 N 1.33-1.36
C (0.2002, 0.0368, 0.0973)  2 N 1.18-1.28
C (0.0368, 0.2002, 0.5973)  2 N 1.18-1.28
N (0.8454, 0.9034, 0.3605)  2 C 1.28-1.36
N (0.9034, 0.8454, 0.8605)  2 C 1.28-1.36
N (0.2393, 0.9882, 0.4431)  2 H 1.01-1.03
N (0.8782, 0.3646, 0.1221)  2 H 1.02
N (0.2995, 0.9253, 0.0681)  1 C 1.18
N (0.9882, 0.2393, 0.9431)  2 H 1.01-1.03
N (0.0747, 0.7005, 0.4319)  1 C 1.18
N (0.3646, 0.8782, 0.6221)  2 H 1.02
N (0.6354, 0.1218, 0.3779)  2 H 1.02
N (0.9253, 0.2995, 0.5681)  1 C 1.18
N (0.0118, 0.7607, 0.0569)  2 H 1.01-1.03
N (0.7005, 0.0747, 0.9319)  1 C 1.18
N (0.1218, 0.6354, 0.8779)  2 H 1.02
N (0.7607, 0.0118, 0.5569)  2 H 1.01-1.03
N (0.0966, 0.1546, 0.1395)  2 C 1.28-1.36
N (0.1546, 0.0966, 0.6395)  2 C 1.28-1.36
O (0.7192, 0.5182, 0.3520)  1 P 1.54
O (0.4344, 0.6975, 0.3765)  1 P 1.55
O (0.6084, 0.6441, 0.1410)  1 P 1.54
O (0.5182, 0.7192, 0.8520)  1 P 1.54
O (0.6975, 0.4344, 0.8765)  1 P 1.55
O (0.6441, 0.6084, 0.6410)  1 P 1.54
O (0.3559, 0.3916, 0.3590)  1 P 1.54
O (0.3025, 0.5656, 0.1235)  1 P 1.55
O (0.4818, 0.2808, 0.1480)  1 P 1.54
O (0.3916, 0.3559, 0.8590)  1 P 1.54
O (0.5656, 0.3025, 0.6235)  1 P 1.55
********
Could you quote only the last part of the entries above, starting with the line that has "0.0668)"?
C (0.9888, 0.2515, 0.0668)  3 N 1.33-1.36
C (0.7485, 0.0112, 0.4332)  3 N 1.33-1.36
C (0.2515, 0.9888, 0.5668)  3 N 1.33-1.36
C (0.0112, 0.7485, 0.9332)  3 N 1.33-1.36
C (0.2002, 0.0368, 0.0973)  2 N 1.18-1.28
C (0.0368, 0.2002, 0.5973)  2 N 1.18-1.28
N (0.8454, 0.9034, 0.3605)  2 C 1.28-1.36
N (0.9034, 0.8454, 0.8605)  2 C 1.28-1.36
N (0.2393, 0.9882, 0.4431)  2 H 1.01-1.03
N (0.8782, 0.3646, 0.1221)  2 H 1.02
N (0.2995, 0.9253, 0.0681)  1 C 1.18
N (0.9882, 0.2393, 0.9431)  2 H 1.01-1.03
N (0.0747, 0.7005, 0.4319)  1 C 1.18
N (0.3646, 0.8782, 0.6221)  2 H 1.02
N (0.6354, 0.1218, 0.3779)  2 H 1.02
N (0.9253, 0.2995, 0.5681)  1 C 1.18
N (0.0118, 0.7607, 0.0569)  2 H 1.01-1.03
N (0.7005, 0.0747, 0.9319)  1 C 1.18
N (0.1218, 0.6354, 0.8779)  2 H 1.02
N (0.7607, 0.0118, 0.5569)  2 H 1.01-1.03
N (0.0966, 0.1546, 0.1395)  2 C 1.28-1.36
N (0.1546, 0.0966, 0.6395)  2 C 1.28-1.36
O (0.7192, 0.5182, 0.3520)  1 P 1.54
O (0.4344, 0.6975, 0.3765)  1 P 1.55
O (0.6084, 0.6441, 0.1410)  1 P 1.54
O (0.5182, 0.7192, 0.8520)  1 P 1.54
O (0.6975, 0.4344, 0.8765)  1 P 1.55
O (0.6441, 0.6084, 0.6410)  1 P 1.54
O (0.3559, 0.3916, 0.3590)  1 P 1.54
O (0.3025, 0.5656, 0.1235)  1 P 1.55
O (0.4818, 0.2808, 0.1480)  1 P 1.54
O (0.3916, 0.3559, 0.8590)  1 P 1.54
O (0.5656, 0.3025, 0.6235)  1 P 1.55